# Data
┌──
1.
# C27H45ClF3O2PV

A molecular structure, C27H45ClF3O2PV in a non-equilibrium geometry (ωB97M-V/def2-TZVPD, OMol25).

Each line ends with the Mulliken charge.
Element x y z (Å)
V -1.5931 -0.2602 1.4504  -1.9838
Cl -3.7229 -0.8672 1.6776  -0.5669
P -0.2521 0.2989 -0.3207  1.3832
C -1.0183 1.0625 2.5914  -0.7906
H -0.1148 1.6805 2.5943  0.4473
H -1.8135 1.4704 3.2393  0.5331
C 1.1340 -0.6510 -1.1417  0.4643
C -0.1633 2.0927 -0.8408  -0.0792
C 2.4851 -0.0100 -0.8326  0.2214
H 1.0768 -1.6220 -0.6111  0.9557
C 3.6327 -0.9138 -1.2729  -0.6757
H 2.5575 0.9604 -1.3467  0.1984
H 2.5794 0.1987 0.2482  -1.1585
C 3.5255 -1.3218 -2.7476  -0.8183
H 4.5770 -0.3888 -1.0886  0.4207
H 3.6249 -1.8101 -0.6377  0.3771
C 2.1246 -1.8137 -3.1389  -1.0045
H 3.7957 -0.4631 -3.3772  0.3130
H 4.2574 -2.1089 -2.9591  0.4228
C 1.0035 -0.8928 -2.6515  -0.3484
H 2.0541 -1.9131 -4.2284  0.4006
H 1.9644 -2.8128 -2.7107  0.3873
H 1.0607 0.0713 -3.1765  0.1287
H 0.0310 -1.3283 -2.9069  0.0771
C -1.8324 -0.4404 -1.0376  -0.0146
C 0.3346 2.3570 -2.2633  -0.5956
H -1.2167 2.4232 -0.7582  0.9033
C 0.1761 3.8440 -2.5992  -1.0572
H 1.3943 2.0731 -2.3352  0.2161
H -0.2109 1.7557 -3.0030  0.0710
C 0.8841 4.7609 -1.5901  -0.7827
H 0.5642 4.0272 -3.6083  0.3963
H -0.8959 4.0859 -2.6128  0.3701
C 0.5682 4.4110 -0.1330  -0.9760
H 1.9696 4.6980 -1.7466  0.3146
H 0.5974 5.8008 -1.7823  0.4444
C 0.6668 2.9092 0.1594  0.2277
H 1.2421 4.9466 0.5455  0.4403
H -0.4553 4.7341 0.1022  0.3930
H 1.7149 2.5747 0.1408  0.2463
H 0.3268 2.7186 1.1826  -0.6126
C -1.8381 -1.9728 -1.1054  0.1119
H -2.5828 -0.1590 -0.2516  0.3398
C -3.2296 -2.4750 -1.5349  -0.7826
H -1.0922 -2.3184 -1.8328  0.3575
H -1.5811 -2.4364 -0.1373  -0.6942
C -3.7127 -1.8419 -2.8442  -0.7777
H -3.2053 -3.5672 -1.6372  0.4444
H -3.9442 -2.2396 -0.7334  0.2888
C -3.6533 -0.3135 -2.8125  -0.9481
H -3.1004 -2.2148 -3.6774  0.2810
H -4.7414 -2.1617 -3.0519  0.4019
C -2.3009 0.2354 -2.3407  -0.7022
H -3.8556 0.0821 -3.8154  0.4270
H -4.4437 0.0681 -2.1522  0.3872
H -1.5438 0.0616 -3.1214  0.2331
H -2.3841 1.3230 -2.2012  0.2103
C -0.2026 -1.4943 2.1939  0.9718
C -0.5682 -0.5285 3.2018  0.4084
H 0.8137 -1.3311 1.7970  0.2457
C -1.5953 -0.9070 4.2897  -0.8342
H 0.3799 -0.2666 3.7158  0.3925
C -1.6730 -2.4077 4.5736  -0.9930
H -1.3024 -0.3666 5.1959  0.3612
H -2.5894 -0.5217 4.0246  0.3882
C -1.6786 -3.2578 3.3037  -0.5873
H -0.8101 -2.6911 5.1904  0.3634
H -2.5708 -2.6242 5.1638  0.4124
C -0.4447 -2.9795 2.4359  -1.2698
H -1.6795 -4.3204 3.5843  0.3855
H -2.5940 -3.0789 2.7213  0.1731
H 0.4356 -3.3767 2.9643  0.4933
H -0.4956 -3.5292 1.4832  0.2097
F 4.5921 0.8390 4.6533  -0.2656
C 4.0314 1.3787 3.5407  0.6947
F 3.5265 2.6091 3.8806  -0.2737
F 5.0355 1.5903 2.6264  -0.2805
C 2.9075 0.4745 2.9004  0.4022
O 2.7362 -0.6540 3.4052  -0.7025
O 2.3210 1.0362 1.9314  -0.5634

LUMO level (spin up / spin down) = 2.490 / 2.488 eV
Kohn-Sham gap (spin up / spin down) = 6.69 / 7.05 eV
Charge = -1
Spin multiplicity = 3

2.
# C27H45F6IN2O5PS

3 unconnected molecules or ions with the total composition C27H45F6IN2O5PS in a non-equilibrium geometry (ωB97M-V/def2-TZVPD, OMol25).

Each line ends with the Mulliken charge.
Element x y z (Å)
C 0.9259 0.0036 2.7670  -0.2299
C 1.3359 0.0600 4.2643  -0.7770
C 0.3868 1.0037 5.0172  -0.9566
C -1.0778 0.5088 5.0745  -0.2098
C -2.0564 1.4846 4.3790  -0.4196
C -3.2884 0.7505 3.7524  -2.5595
C -2.9632 0.3907 2.3246  0.6968
C -2.6038 -0.8519 1.8975  -0.2847
C -2.5340 -2.0366 2.8187  -0.7948
C -3.0941 -3.3591 2.2167  -0.9825
C -4.2275 -3.1899 1.1689  -1.0337
I -1.4668 -4.5543 1.4424  0.1793
N -2.2988 -1.0382 0.6021  0.6345
C -2.3361 -0.1056 -0.3435  -0.3243
C -1.9559 -0.5983 -1.7299  -1.3150
C -0.7643 0.1661 -2.3890  0.7004
C -1.1052 0.6336 -3.8171  -1.0060
C -1.3954 -0.5586 -4.7535  -0.5204
C -0.1238 -1.4458 -4.8913  -0.7680
C -2.7158 1.1734 -0.0033  0.2218
P -2.7714 2.5177 -1.2995  0.6472
N -1.9019 3.8870 -0.6872  -0.5779
O -4.3165 3.0572 -1.5005  -0.5698
C -3.0184 1.4120 1.3409  1.6397
└──
# Brief
It remains to give back the part of the contents earlier on that starts with the line with "1.9644 -2.8128" and stops after the one with "-3.8556 0.0821".
# Here it is
H 1.9644 -2.8128 -2.7107  0.3873
H 1.0607 0.0713 -3.1765  0.1287
H 0.0310 -1.3283 -2.9069  0.0771
C -1.8324 -0.4404 -1.0376  -0.0146
C 0.3346 2.3570 -2.2633  -0.5956
H -1.2167 2.4232 -0.7582  0.9033
C 0.1761 3.8440 -2.5992  -1.0572
H 1.3943 2.0731 -2.3352  0.2161
H -0.2109 1.7557 -3.0030  0.0710
C 0.8841 4.7609 -1.5901  -0.7827
H 0.5642 4.0272 -3.6083  0.3963
H -0.8959 4.0859 -2.6128  0.3701
C 0.5682 4.4110 -0.1330  -0.9760
H 1.9696 4.6980 -1.7466  0.3146
H 0.5974 5.8008 -1.7823  0.4444
C 0.6668 2.9092 0.1594  0.2277
H 1.2421 4.9466 0.5455  0.4403
H -0.4553 4.7341 0.1022  0.3930
H 1.7149 2.5747 0.1408  0.2463
H 0.3268 2.7186 1.1826  -0.6126
C -1.8381 -1.9728 -1.1054  0.1119
H -2.5828 -0.1590 -0.2516  0.3398
C -3.2296 -2.4750 -1.5349  -0.7826
H -1.0922 -2.3184 -1.8328  0.3575
H -1.5811 -2.4364 -0.1373  -0.6942
C -3.7127 -1.8419 -2.8442  -0.7777
H -3.2053 -3.5672 -1.6372  0.4444
H -3.9442 -2.2396 -0.7334  0.2888
C -3.6533 -0.3135 -2.8125  -0.9481
H -3.1004 -2.2148 -3.6774  0.2810
H -4.7414 -2.1617 -3.0519  0.4019
C -2.3009 0.2354 -2.3407  -0.7022
H -3.8556 0.0821 -3.8154  0.4270